Your job: type out the rows below from the first line to the one with "forces in" with every line break kept.

____________
Entry 1:
Here is a 3-piece molecular cluster, C20H22N6O7 overall from the OMol25 dataset. Energies are from ωB97M-V with the def2-TZVPD basis set.

The geometry in XYZ format:
```
55
Properties=species:S:1:pos:R:3:forces:R:3
N 1.17288 -3.41576 2.08505 0.26 0.27 0.28
C 0.81377 -2.41603 1.11253 0.25 0.66 0.45
N 1.92899 -1.44753 1.02925 -0.06 -0.55 -0.27
N -0.44616 -1.81027 1.56588 0.01 -0.22 -0.43
C 0.68354 -2.95471 -0.31341 0.06 -0.05 -0.29
O 0.25820 -4.32113 -0.37935 0.03 0.02 0.33
C -1.01273 -4.47224 -0.79669 0.68 -0.31 0.21
O -1.31817 -4.55726 -1.93081 -0.44 0.00 -1.05
O -1.86247 -4.64557 0.24009 -0.56 0.60 0.42
C -3.02415 -3.87874 0.17050 0.37 -0.60 0.06
C -4.13949 -4.39866 0.80994 -0.42 0.32 0.01
C -5.29129 -3.62783 0.78294 0.71 0.10 -0.26
C -5.24275 -2.41386 0.10487 -0.30 0.16 0.02
C -4.06720 -1.99958 -0.49529 -0.07 -0.48 0.34
N -2.94738 -2.73009 -0.45272 -0.23 0.20 -0.02
H 0.40055 -3.60896 2.70050 -0.20 -0.26 -0.19
H 1.52161 -4.26339 1.66838 0.01 -0.10 0.03
H 1.97391 -0.91908 1.88834 0.09 0.14 0.03
H 1.81310 -0.82465 0.23797 -0.09 0.24 0.13
H -0.24673 -1.22996 2.37155 -0.01 -0.01 0.13
H -0.76941 -1.18406 0.83583 -0.15 0.06 0.03
H 1.66591 -2.90731 -0.77074 0.18 -0.21 -0.01
H 0.02159 -2.34042 -0.91951 -0.18 0.15 0.06
H -4.10710 -5.35411 1.30149 0.13 -0.17 0.05
H -6.19069 -3.95888 1.27354 -0.15 -0.07 0.04
H -6.11890 -1.78684 0.04452 -0.06 0.07 0.00
H -4.03065 -1.05106 -1.00685 0.18 0.11 -0.13
C 2.52511 1.37332 -4.80340 -0.01 0.00 0.02
C 2.01523 0.14637 -4.40012 0.04 0.10 -0.02
C 1.13874 0.07729 -3.33008 0.00 -0.18 -0.03
C 0.78610 1.24784 -2.68353 0.05 0.00 -0.16
C 1.28567 2.47823 -3.06659 0.03 0.19 0.00
C 2.16318 2.53611 -4.13568 0.01 -0.10 -0.04
N -0.15060 1.18103 -1.55539 0.16 -0.01 0.09
O -0.53919 0.07826 -1.21106 -0.05 -0.06 0.07
O -0.47135 2.21650 -1.01750 -0.17 0.09 -0.01
H 3.20763 1.42362 -5.64130 0.01 0.00 0.00
H 2.29884 -0.75800 -4.91989 -0.01 -0.02 0.01
H 0.73741 -0.87331 -3.01097 -0.07 0.05 0.05
H 1.00150 3.37652 -2.54016 -0.06 -0.06 0.07
H 2.56570 3.48950 -4.44778 0.00 0.02 0.01
C 0.50266 5.04580 3.88706 0.01 -0.01 -0.02
C 1.57393 5.73789 3.33736 -0.08 -0.07 0.03
C 2.25744 5.21255 2.25318 0.10 0.16 0.03
C 1.85047 3.99641 1.73736 -0.08 0.06 0.12
C 0.78889 3.28989 2.27116 -0.14 -0.15 0.03
C 0.11281 3.82335 3.35616 0.05 0.10 0.03
N 2.55887 3.43999 0.57517 -0.01 0.04 0.00
O 3.48769 4.07433 0.11784 -0.01 0.00 -0.02
O 2.16131 2.38064 0.13627 0.12 -0.16 -0.04
H -0.03159 5.46185 4.73088 0.00 0.00 0.01
H 1.87631 6.68926 3.75224 0.02 0.01 0.00
H 3.09173 5.74304 1.81957 0.01 -0.08 -0.08
H 0.48825 2.34364 1.84640 0.06 0.02 -0.10
H -0.72155 3.28610 3.78497 -0.01 -0.02 -0.01
```
Positions in Å, forces in eV/Å.

As for the highest occupied orbital energy: -8.61 eV. As for the SMILES: NC(N)(N)COC(=O)Oc1ccccn1.O=[N+]([O-])c1ccccc1.O=[N+]([O-])c1ccccc1. The total charge is 0. For the orbital gap, the calculation gives 7.98 eV. The calculation puts the strongest force on any atom at 0.022 hartree/bohr. The molecular weight comes out at 458.431 g mol⁻¹. The spin multiplicity is 1.

---

Entry 2:
Here is a 12-piece molecular cluster, C5H34NO11S2 overall from the OMol25 dataset. Energies are from ωB97M-V with the def2-TZVPD basis set.

The geometry in XYZ format:
```
53
Properties=species:S:1:pos:R:3:forces:R:3
C -2.96295 -0.67362 -0.10910 1.49 2.66 0.34
C -2.33205 -1.64564 0.85908 -1.20 -1.37 0.67
S -3.66083 -2.27824 2.30241 1.73 -0.93 -3.23
C -1.75760 -0.39737 -1.20262 -2.09 2.48 0.49
N -0.40267 -0.32917 -0.60059 2.23 -1.83 -0.93
C 0.60126 0.75806 -1.02054 -0.70 -1.57 -1.27
C 0.96775 0.70346 -2.59557 -3.18 2.04 1.38
S 1.39392 2.26852 -3.42629 0.29 -0.48 0.47
H -3.92081 -0.92345 -0.60427 0.78 -0.44 0.15
H -3.16128 0.33301 0.45000 0.23 -1.97 -0.99
H -1.78255 -2.49167 0.24564 -1.31 1.15 1.87
H -1.68884 -1.17407 1.58540 0.65 0.09 -0.51
H -3.56382 -3.41586 1.51201 -0.69 0.51 1.19
H -1.99481 0.65035 -1.63319 0.39 -1.80 0.53
H -1.99593 -1.10768 -1.98702 0.95 -0.37 -0.24
H 0.10757 -1.30708 -0.67369 -1.49 2.62 0.11
____________

Entry 1:
Here is a 3-piece molecular cluster, C20H22N6O7 overall from the OMol25 dataset. Energies are from ωB97M-V with the def2-TZVPD basis set.

The geometry in XYZ format:
```
55
Properties=species:S:1:pos:R:3:forces:R:3
N 1.17288 -3.41576 2.08505 0.26 0.27 0.28
C 0.81377 -2.41603 1.11253 0.25 0.66 0.45
N 1.92899 -1.44753 1.02925 -0.06 -0.55 -0.27
N -0.44616 -1.81027 1.56588 0.01 -0.22 -0.43
C 0.68354 -2.95471 -0.31341 0.06 -0.05 -0.29
O 0.25820 -4.32113 -0.37935 0.03 0.02 0.33
C -1.01273 -4.47224 -0.79669 0.68 -0.31 0.21
O -1.31817 -4.55726 -1.93081 -0.44 0.00 -1.05
O -1.86247 -4.64557 0.24009 -0.56 0.60 0.42
C -3.02415 -3.87874 0.17050 0.37 -0.60 0.06
C -4.13949 -4.39866 0.80994 -0.42 0.32 0.01
C -5.29129 -3.62783 0.78294 0.71 0.10 -0.26
C -5.24275 -2.41386 0.10487 -0.30 0.16 0.02
C -4.06720 -1.99958 -0.49529 -0.07 -0.48 0.34
N -2.94738 -2.73009 -0.45272 -0.23 0.20 -0.02
H 0.40055 -3.60896 2.70050 -0.20 -0.26 -0.19
H 1.52161 -4.26339 1.66838 0.01 -0.10 0.03
H 1.97391 -0.91908 1.88834 0.09 0.14 0.03
H 1.81310 -0.82465 0.23797 -0.09 0.24 0.13
H -0.24673 -1.22996 2.37155 -0.01 -0.01 0.13
H -0.76941 -1.18406 0.83583 -0.15 0.06 0.03
H 1.66591 -2.90731 -0.77074 0.18 -0.21 -0.01
H 0.02159 -2.34042 -0.91951 -0.18 0.15 0.06
H -4.10710 -5.35411 1.30149 0.13 -0.17 0.05
H -6.19069 -3.95888 1.27354 -0.15 -0.07 0.04
H -6.11890 -1.78684 0.04452 -0.06 0.07 0.00
H -4.03065 -1.05106 -1.00685 0.18 0.11 -0.13
C 2.52511 1.37332 -4.80340 -0.01 0.00 0.02
C 2.01523 0.14637 -4.40012 0.04 0.10 -0.02
C 1.13874 0.07729 -3.33008 0.00 -0.18 -0.03
C 0.78610 1.24784 -2.68353 0.05 0.00 -0.16
C 1.28567 2.47823 -3.06659 0.03 0.19 0.00
C 2.16318 2.53611 -4.13568 0.01 -0.10 -0.04
N -0.15060 1.18103 -1.55539 0.16 -0.01 0.09
O -0.53919 0.07826 -1.21106 -0.05 -0.06 0.07
O -0.47135 2.21650 -1.01750 -0.17 0.09 -0.01
H 3.20763 1.42362 -5.64130 0.01 0.00 0.00
H 2.29884 -0.75800 -4.91989 -0.01 -0.02 0.01
H 0.73741 -0.87331 -3.01097 -0.07 0.05 0.05
H 1.00150 3.37652 -2.54016 -0.06 -0.06 0.07
H 2.56570 3.48950 -4.44778 0.00 0.02 0.01
C 0.50266 5.04580 3.88706 0.01 -0.01 -0.02
C 1.57393 5.73789 3.33736 -0.08 -0.07 0.03
C 2.25744 5.21255 2.25318 0.10 0.16 0.03
C 1.85047 3.99641 1.73736 -0.08 0.06 0.12
C 0.78889 3.28989 2.27116 -0.14 -0.15 0.03
C 0.11281 3.82335 3.35616 0.05 0.10 0.03
N 2.55887 3.43999 0.57517 -0.01 0.04 0.00
O 3.48769 4.07433 0.11784 -0.01 0.00 -0.02
O 2.16131 2.38064 0.13627 0.12 -0.16 -0.04
H -0.03159 5.46185 4.73088 0.00 0.00 0.01
H 1.87631 6.68926 3.75224 0.02 0.01 0.00
H 3.09173 5.74304 1.81957 0.01 -0.08 -0.08
H 0.48825 2.34364 1.84640 0.06 0.02 -0.10
H -0.72155 3.28610 3.78497 -0.01 -0.02 -0.01
```
Positions in Å, forces in eV/Å.